• Request:
It remains to find "71.90" and "15)" in the block further below, and restate these two lines and those between.

• Source:
Structure and calculated powder diffractogram of Hf4Sc2Ge3N3 (a cell relaxed with PBE; CuKα).
Peak positions follow from Bragg's law for the DFT cell and can differ from measured ones.

Largest 10 diffraction maxima, sorted by position, 2θ from 10° to 80°:
2theta	I (rel.)	h k l
18.47	115	1 1 0
32.05	224	3 1 -1
37.86	1000	0 2 3
39.87	168	0 0 6
52.04	144	3 1 5
57.12	217	6 0 -2
70.59	158	6 2 1
71.06	134	3 1 8
71.90	91	6 0 -8
71.93	90	6 0 4

Structural model:
a b c (Å): 9.673 5.587 13.948
angles (deg): 90.00 103.41 90.00
Space group C2/c (No. 15)
One atom of each set of equivalent atoms:
Hf (0.114, 0.086, 0.091) x8
Hf (0.221, 0.082, 0.409) x8
Sc (0.051, 0.418, 0.907) x8
Ge (0.000, 0.075, 0.750) x4
Ge (0.169, 0.414, 0.250) x8
N (0.084, 0.248, 0.500) x8
N (0.250, 0.250, 0.000) x4

Structure and calculated powder diffractogram of DyErZr2Ge2 (a cell relaxed with PBE; CuKα).
Peak positions follow from Bragg's law for the DFT cell and can differ from measured ones.

Largest 10 diffraction maxima, sorted by position, 2θ from 10° to 80°:
2theta	I (rel.)	h k l
30.19	327	1 1 0
31.12	554	1 0 2
32.29	1000	1 1 1
34.03	423	0 0 3
37.98	828	1 1 2
43.22	644	2 0 0
54.21	235	2 1 2
56.12	400	2 0 3
62.81	412	2 2 0
75.76	248	3 1 2

Structural model:
a b c (Å): 4.187 4.187 7.904
angles (deg): 90.00 90.00 90.00
Space group P4mm (No. 99)
One atom of each set of equivalent atoms:
Dy (0.000, 0.000, 0.000) x1
Er (0.500, 0.500, 0.304) x1
Zr (0.000, 0.500, 0.650) x2
Ge (0.000, 0.000, 0.384) x1
Ge (0.500, 0.500, 0.916) x1

Structure and calculated powder diffractogram of MgCu5Sn2 (a cell relaxed with PBE; CuKα).
Peak positions follow from Bragg's law for the DFT cell and can differ from measured ones.

Largest 10 diffraction maxima, sorted by position, 2θ from 10° to 80°:
2theta	I (rel.)	h k l
24.72	211	1 0 1
40.84	504	2 0 0
40.95	1000	1 1 2
48.33	77	2 1 1
48.52	38	1 0 3
59.14	164	2 2 0
59.47	80	0 0 4
65.24	34	2 1 3
74.44	326	3 1 2
74.66	161	2 0 4

Structural model:
a b c (Å): 4.419 4.419 6.217
angles (deg): 90.00 90.00 90.00
Space group P4/mmm (No. 123)
One atom of each set of equivalent atoms:
Mg (0.000, 0.000, 0.000) x1
Cu (0.000, 0.500, 0.252) x4
Cu (0.500, 0.500, 0.500) x1
Sn (0.000, 0.000, 0.500) x1
Sn (0.500, 0.500, 0.000) x1

Structure and calculated powder diffractogram of TbSmZr2Sb2 (a cell relaxed with PBE; CuKα).
Peak positions follow from Bragg's law for the DFT cell and can differ from measured ones.

Largest 10 diffraction maxima, sorted by position, 2θ from 10° to 80°:
2theta	I (rel.)	h k l
29.37	457	1 1 0
31.28	916	1 1 2
31.94	389	0 0 6
33.84	644	1 0 5
36.47	1000	1 1 4
42.02	712	2 0 0
53.74	352	2 0 6
55.01	320	2 1 5
60.93	234	2 2 0
73.14	252	3 1 4

Structural model:
a b c (Å): 4.300 4.300 16.810
angles (deg): 90.00 90.00 90.00
Space group I4mm (No. 107)
One atom of each set of equivalent atoms:
Tb (0.000, 0.000, 0.000) x2
Sm (0.000, 0.000, 0.646) x2
Zr (0.000, 0.500, 0.324) x4
Sb (0.000, 0.000, 0.193) x2
Sb (0.000, 0.000, 0.455) x2

Structure and calculated powder diffractogram of ZrSc2Ni4Ge4 (a cell relaxed with PBE; CuKα).
Peak positions follow from Bragg's law for the DFT cell and can differ from measured ones.

Largest 10 diffraction maxima, sorted by position, 2θ from 10° to 80°:
2theta	I (rel.)	h k l
36.31	1000	1 2 1
37.25	258	0 1 5
38.59	670	1 1 4
41.80	279	0 0 6
46.31	261	0 3 3
46.52	427	2 0 0
49.60	231	1 3 2
50.49	553	1 2 5
67.74	155	2 3 3
79.52	165	0 3 9

Structural model:
a b c (Å): 3.904 6.600 12.967
angles (deg): 90.00 90.00 90.00
Space group Immm (No. 71)
One atom of each set of equivalent atoms:
Zr (0.000, 0.000, 0.000) x2
Sc (0.000, 0.500, 0.128) x4
Ni (0.000, 0.302, 0.323) x8
Ge (0.000, 0.000, 0.217) x4
Ge (0.000, 0.198, 0.500) x4

Structure and calculated powder diffractogram of MgScCuTe2Se (a cell relaxed with PBE; CuKα).
Peak positions follow from Bragg's law for the DFT cell and can differ from measured ones.

Largest 10 diffraction maxima, sorted by position, 2θ from 10° to 80°:
2theta	I (rel.)	h k l
24.94	332	1 1 1

• Done:
71.90	91	6 0 -8
71.93	90	6 0 4

Structural model:
a b c (Å): 9.673 5.587 13.948
angles (deg): 90.00 103.41 90.00
Space group C2/c (No. 15)